What is short time?
Short time is a temporary reduction in the number of hours or days employees are required to work due to operational requirements, such as a decrease in workload, financial constraints, or other economic factors.
What legislation and agreements govern short time in South Africa?
Short time is governed by the Labour Relations Act (LRA), the Basic Conditions of Employment Act (BCEA), and relevant collective agreements, such as those negotiated by the Hairdressing, Cosmetology, Beauty and Skincare Industry Bargaining Council (HCSBC).
Can an employer unilaterally implement short time?
No, an employer cannot unilaterally impose short time. According to Section 189 of the LRA, employers must engage in a consultation process with employees or their representatives before implementing short time. The HCSBC collective agreement, specifically Clause 20, also requires consultation and agreement with the trade unions before short time can be implemented.
How should an employer communicate the implementation of short time?
The employer must provide clear and timely communication to employees regarding the need for short time, including the reasons, the expected duration, and the terms of the reduction in working hours. This is in line with the procedural fairness required under Section 189(3) of the LRA and Clause 20 of the HCSBC collective agreement.
What are the employer’s obligations under the BCEA and HCSBC collective agreement when implementing short time?
Under the BCEA, particularly Sections 9 and 10, employers must ensure that the implementation of short time complies with the agreed terms and conditions of employment.
The HCSBC collective agreement, specifically Clause 20, outlines the following obligations:
Notification: Employers must notify employees in writing and provide at least one week’s notice (Clause 20.1).
Payment in Lieu of Notice: Employees not given the specified notice are entitled to payment of full wages in lieu of notice (Clause 20.2).
Annual Leave: Annual leave shall accrue at the full rate of entitlement during any period that an employee is required to work short time (Clause 20.3).
Minimum Remuneration: Employees working less than 4 hours per day must be remunerated for at least 4 hours per day as per the National Minimum Wage Act of 2018.
Are employees entitled to be paid during short time?
Employees are generally entitled to be paid for the hours they actually work during short time. Payment should be in line with the agreed wage rate or the minimum wage as per Section 35 of the BCEA. The HCSBC collective agreement, specifically Clause 20, provides specific guidelines on remuneration during periods of short time.
Can employees claim Unemployment Insurance Fund (UIF) benefits during short time?
Yes, employees may be eligible to claim UIF benefits for the loss of income resulting from short time. Employers should provide the necessary documentation to support the claim, as outlined under the Unemployment Insurance Act, which complements the BCEA.
What is the role of trade unions in the implementation of short time?
Trade unions play a crucial role in negotiating and agreeing on the terms of short time with the employer. Section 14 of the LRA provides trade unions with organisational rights, which include the right to represent employees in consultations and negotiations related to short time. The HCSBC collective agreement, particularly Clause 20, further empowers trade unions to ensure fair treatment of employees during these negotiations.
How long can short time last?
The duration of short time should be clearly defined and agreed upon during consultations. The LRA does not specify a maximum duration, but it should be a temporary measure. The HCSBC collective agreement, specifically Clause 20, may contain specific provisions regarding the maximum duration of short time and the process for any necessary extensions.
Can an employee refuse to work short time?
If short time has been properly negotiated and agreed upon, employees are generally expected to comply with the arrangement. Refusal to work short time could be considered a breach of contract unless there are justifiable reasons. According to Section 187(1)(g) of the LRA, dismissal for refusing to accept changes to terms and conditions of employment (including short time) can be considered automatically unfair if it is not justifiable.
What steps should an employer take if short time is no longer necessary?
If short time is no longer necessary, the employer should communicate this to employees and restore normal working hours as soon as possible. Any changes should be documented and agreed upon with the employees or their representatives, following the procedural requirements of Section 189A of the LRA if applicable, and Clause 20 of the HCSBC collective agreement.
What are the potential consequences for employers who improperly implement short time?
Improper implementation of short time can result in disputes, grievances, and potential legal action. Employers may face penalties for non-compliance with the LRA and BCEA. This includes possible claims for unfair labour practices under Section 186(2) of the LRA, or breaches of the BCEA which could lead to fines or orders for compensation. Non-compliance with the HCSBC collective agreement, particularly Clause 20, can also result in grievances and arbitration procedures through the bargaining council.
Where can employees and employers seek advice on short time?
## Molecular data, kept here for reference
........
Arrangement A

The following is a quantum chemistry calculation of a structure of composition C17H23N3O3, from OMol25.

The geometry in ORCA input format:
```
! RIJCOSX wB97M-V def2-TZVPD def2/J DEFGRID3
* xyz 0 1
C -0.15138 2.22644 0.88737
C -0.59955 1.83825 -0.63233
C 1.04953 1.29225 1.20890
C 2.18959 1.21973 0.30175
C 2.32931 1.91361 -0.91730
C 3.26341 0.26948 0.41468
C 4.07304 0.38066 -0.79034
C 3.56673 -0.91207 1.30012
C 5.03555 -0.62967 -1.09008
C 4.48500 -1.77027 1.00039
C 5.13025 -1.59722 -0.23243
C -1.61277 -0.32374 -0.17299
C -0.43493 -1.36894 -0.56174
C -2.95673 -1.01974 -0.59107
C -3.25505 -2.25423 0.35486
C -3.94708 0.18170 -0.14330
C -5.28697 -0.48907 -0.50374
H -0.48409 2.08444 2.70101
H -1.63153 3.57970 1.91768
H 0.28388 3.29476 0.89269
H 1.57283 1.92869 2.08617
H 0.77080 0.39760 1.79321
H 1.28382 2.44501 -1.54988
H 3.85184 1.85386 -2.46152
H 2.84119 -1.07819 2.10131
H 5.77013 -0.70177 -1.93095
H 4.62996 -2.74513 1.69988
H 5.77546 -2.39322 -0.64954
H -1.15447 0.54037 -2.04386
H -1.65588 0.11875 0.91287
H -2.65533 -1.20517 -1.68642
H -1.87617 -2.63185 0.57092
H -3.84182 -1.87449 1.43393
H -3.82321 -3.21281 -0.47972
H -3.62686 1.05516 -0.73672
H -3.64296 0.26829 0.87127
H -5.32087 -0.37022 -1.59871
H -5.29429 -1.58037 -0.14526
H -6.46607 -0.25680 0.30433
H 1.09820 -2.35012 -0.20933
N -1.26043 2.36085 1.81240
N 3.55053 1.55116 -1.47767
N -1.45006 0.82976 -0.94685
O -0.30753 2.54764 -1.62460
O -0.19432 -1.57787 -1.77159
O 0.37929 -1.83520 0.38218
*
```

Computed properties:
- HOMO (eV) = -7.57
- E_LUMO (eV) = 0.413

=====

Arrangement B

The following is a quantum chemistry calculation of an isolated molecule of C17H23N3O3, from OMol25.

The geometry in ORCA input format:
```
! RIJCOSX wB97M-V def2-TZVPD def2/J DEFGRID3
* xyz 0 1
C 5.24416 0.44753 1.83892
C 4.41820 1.21724 0.77370
C 4.19224 0.39287 -0.51852
C 3.70116 1.31446 -1.59614
C 3.33010 -0.95254 -0.47137
N 3.06402 -1.54303 -1.77423
C 2.01978 -0.73173 0.28525
O 1.92798 -0.53917 1.49792
N 0.88873 -0.66957 -0.46279
C -0.43754 -0.35094 0.18847
C -1.48270 0.16192 -0.82272
C -2.76069 0.77752 -0.29207
C -2.93220 2.01128 0.32889
N -4.26207 2.13599 0.66922
C -5.03949 1.05906 0.21240
C -6.31261 0.60857 0.52579
C -6.66218 -0.67681 0.12347
C -5.75903 -1.51197 -0.53997
C -4.43745 -1.10808 -0.75628
C -4.06460 0.16388 -0.34001
C -0.90653 -1.70401 0.87771
O -1.84121 -2.41192 0.54875
O -0.39353 -1.85863 2.13722
H 4.73754 -0.44782 2.15833
H 6.15648 0.04264 1.27421
H 5.60244 1.00448 2.74158
H 3.39510 1.48666 1.09311
H 4.97417 2.08832 0.44008
H 5.11924 -0.01258 -0.89343
H 3.39812 0.76709 -2.46048
H 2.88277 1.85631 -1.15219
H 4.38806 2.12700 -1.90444
H 3.94772 -1.53532 0.17207
H 2.47363 -2.30386 -1.53935
H 3.93917 -1.93712 -2.10526
H 1.11756 -0.56210 -1.42361
H -0.29725 0.38727 0.99442
H -0.90903 1.01995 -1.29921
H -1.67899 -0.69401 -1.50776
H -2.22178 2.78123 0.61223
H -4.59937 3.03988 0.93974
H -6.99413 1.23964 1.01836
H -7.71729 -0.91809 0.15426
H -5.98115 -2.57599 -0.80033
........
Employees and employers can seek advice from the Department of Labour, legal professionals specialising in labour law (EOHCB), or their trade unions. The Commission for Conciliation, Mediation, and Arbitration (CCMA) is also a resource for resolving disputes related to short time and other labour issues. Additionally, parties can refer to the HCSBC for guidance and dispute resolution mechanisms specific to the sector.